Source >
'''
No. 1
{
  "formula": "Nd2Lu2O5",
  "functional": "PBE",
  "state": "relaxed",
  "lattice_angstrom": [[7.666, 0.000, 0.000], [0.000, 4.222, 0.000], [0.000, 0.000, 4.222]],
  "species": ["Lu", "Lu", "Nd", "Nd", "O", "O", "O", "O", "O"],
  "fractional_positions": [[0.232, 0.500, 0.500], [0.768, 0.500, 0.500], [0.000, 0.000, 0.000], [0.500, 0.000, 0.000], [0.245, 0.500, 0.000], [0.755, 0.500, 0.000], [0.245, 0.000, 0.500], [0.755, 0.000, 0.500], [0.500, 0.500, 0.500]],
  "spacegroup": "P4/mmm (123)",
  "vol_a3_per_cell": 136.67,
  "relative_energy_mev_per_atom": 0,
  "dft_energy_ry_per_atom": -0.5665
}

No. 2
{
  "formula": "NdLuO3",
  "functional": "PBE",
  "state": "relaxed",
  "lattice_angstrom": [[2.942, -1.698, -4.690], [-2.942, -1.698, -4.690], [0.000, 3.397, -4.690]],
  "species": ["Lu", "Lu", "Nd", "Nd", "O", "O", "O", "O", "O", "O"],
  "fractional_positions": [[0.000, 0.000, 0.000], [0.500, 0.500, 0.500], [0.250, 0.250, 0.250], [0.750, 0.750, 0.750], [0.750, 0.362, 0.138], [0.638, 0.862, 0.250], [0.138, 0.750, 0.362], [0.862, 0.250, 0.638], [0.362, 0.138, 0.750], [0.250, 0.638, 0.862]],
  "spacegroup": "R-3c (167)",
  "vol_a3_per_cell": 140.58,
  "dft_energy_ry_per_atom": -0.6075
}

No. 3
{
  "formula": "Nd2LuO4",
  "functional": "PBE",
  "state": "relaxed",
  "lattice_angstrom": [[4.879, -4.880, 0.000], [-4.879, 0.000, -4.880], [4.879, 4.880, 0.000]],
  "species": ["Lu", "Lu", "Nd", "Nd", "Nd", "Nd", "O", "O", "O", "O", "O", "O", "O", "O"],
  "fractional_positions": [[0.000, 0.000, 0.000], [0.750, 0.500, 0.250], [0.375, 0.750, 0.125], [0.875, 0.250, 0.625], [0.375, 0.750, 0.625], [0.375, 0.250, 0.625], [0.124, 0.248, 0.372], [0.626, 0.252, 0.374], [0.122, 0.748, 0.374], [0.626, 0.748, 0.374], [0.124, 0.752, 0.876], [0.628, 0.752, 0.876], [0.124, 0.248, 0.876], [0.626, 0.252, 0.878]],
  "spacegroup": "Fd-3m (227)",
  "vol_a3_per_cell": 232.34,
  "dft_energy_ry_per_atom": -0.5851
}

No. 4
{
  "formula": "NdLuO3",
  "functional": "PBE",
  "state": "relaxed",
  "lattice_angstrom": [[-2.905, 5.032, 0.000], [2.905, 5.032, 0.000], [0.000, 3.355, -5.057]],
  "species": ["Lu", "Lu", "Nd", "Nd", "O", "O", "O", "O", "O", "O"],
  "fractional_positions": [[0.853, 0.853, 0.442], [0.147, 0.147, 0.558], [0.634, 0.634, 0.099], [0.366, 0.366, 0.901], [0.549, 0.224, 0.259], [0.224, 0.968, 0.259], [0.968, 0.549, 0.259], [0.032, 0.451, 0.741], [0.776, 0.032, 0.741], [0.451, 0.776, 0.741]],
  "spacegroup": "R-3 (148)",
  "vol_a3_per_cell": 147.88,
  "dft_energy_ry_per_atom": -0.6100
}

No. 5
{
  "formula": "Nd2Tm3LuTe2Os",
  "functional": "PBE",
  "state": "relaxed",
  "lattice_angstrom": [[4.081, 0.000, 0.000], [0.000, 7.258, 4.113], [0.000, -7.258, 4.113]],
  "species": ["Lu", "Nd", "Nd", "Os", "Te", "Te", "Tm", "Tm", "Tm"],
  "fractional_positions": [[0.500, 0.379, 0.379], [0.500, 0.599, 0.000], [0.500, 0.000, 0.599], [0.500, 0.025, 0.025], [0.000, 0.658, 0.334], [0.000, 0.334, 0.658], [0.000, 0.995, 0.235], [0.000, 0.773, 0.773], [0.000, 0.235, 0.995]],
  "spacegroup": "Amm2 (38)",
  "vol_a3_per_cell": 243.68,
  "dft_energy_ry_per_atom": -0.4222
}

No. 6
{
  "formula": "NdTm3Lu2Te2Os",
  "functional": "PBE",
  "state": "relaxed",
  "lattice_angstrom": [[-0.817, -0.921, -3.860], [6.784, -4.576, -0.344], [-6.992, -3.570, 2.331]],
  "species": ["Lu", "Lu", "Nd", "Os", "Te", "Te", "Tm", "Tm", "Tm"],
  "fractional_positions": [[0.000, 0.998, 0.378], [0.000, 0.378, 0.998], [0.000, 0.597, 0.597], [0.000, 0.027, 0.027], [0.500, 0.667, 0.326], [0.500, 0.326, 0.667], [0.500, 0.245, 0.245], [0.500, 0.996, 0.765], [0.500, 0.765, 0.996]],
  "spacegroup": "Amm2 (38)",
  "vol_a3_per_cell": 239.07,
  "dft_energy_ry_per_atom": -0.4183
}

No. 7
{
  "formula": "NdLuPa",
  "functional": "PBE",
  "state": "relaxed",
  "lattice_angstrom": [[-4.043, -0.276, 3.181], [-2.288, 4.316, 1.639], [-4.706, 1.227, -1.702]],
  "species": ["Lu", "Nd", "Pa"],
  "fractional_positions": [[0.750, 0.750, 0.750], [0.000, 0.000, 0.000], [0.250, 0.250, 0.250]],
'''
Request >
What is needed: duplicate all of the entries earlier on without additions.
Solution >
No. 1
{
  "formula": "Nd2Lu2O5",
  "functional": "PBE",
  "state": "relaxed",
  "lattice_angstrom": [[7.666, 0.000, 0.000], [0.000, 4.222, 0.000], [0.000, 0.000, 4.222]],
  "species": ["Lu", "Lu", "Nd", "Nd", "O", "O", "O", "O", "O"],
  "fractional_positions": [[0.232, 0.500, 0.500], [0.768, 0.500, 0.500], [0.000, 0.000, 0.000], [0.500, 0.000, 0.000], [0.245, 0.500, 0.000], [0.755, 0.500, 0.000], [0.245, 0.000, 0.500], [0.755, 0.000, 0.500], [0.500, 0.500, 0.500]],
  "spacegroup": "P4/mmm (123)",
  "vol_a3_per_cell": 136.67,
  "relative_energy_mev_per_atom": 0,
  "dft_energy_ry_per_atom": -0.5665
}

No. 2
{
  "formula": "NdLuO3",
  "functional": "PBE",
  "state": "relaxed",
  "lattice_angstrom": [[2.942, -1.698, -4.690], [-2.942, -1.698, -4.690], [0.000, 3.397, -4.690]],
  "species": ["Lu", "Lu", "Nd", "Nd", "O", "O", "O", "O", "O", "O"],
  "fractional_positions": [[0.000, 0.000, 0.000], [0.500, 0.500, 0.500], [0.250, 0.250, 0.250], [0.750, 0.750, 0.750], [0.750, 0.362, 0.138], [0.638, 0.862, 0.250], [0.138, 0.750, 0.362], [0.862, 0.250, 0.638], [0.362, 0.138, 0.750], [0.250, 0.638, 0.862]],
  "spacegroup": "R-3c (167)",
  "vol_a3_per_cell": 140.58,
  "dft_energy_ry_per_atom": -0.6075
}

No. 3
{
  "formula": "Nd2LuO4",
  "functional": "PBE",
  "state": "relaxed",
  "lattice_angstrom": [[4.879, -4.880, 0.000], [-4.879, 0.000, -4.880], [4.879, 4.880, 0.000]],
  "species": ["Lu", "Lu", "Nd", "Nd", "Nd", "Nd", "O", "O", "O", "O", "O", "O", "O", "O"],
  "fractional_positions": [[0.000, 0.000, 0.000], [0.750, 0.500, 0.250], [0.375, 0.750, 0.125], [0.875, 0.250, 0.625], [0.375, 0.750, 0.625], [0.375, 0.250, 0.625], [0.124, 0.248, 0.372], [0.626, 0.252, 0.374], [0.122, 0.748, 0.374], [0.626, 0.748, 0.374], [0.124, 0.752, 0.876], [0.628, 0.752, 0.876], [0.124, 0.248, 0.876], [0.626, 0.252, 0.878]],
  "spacegroup": "Fd-3m (227)",
  "vol_a3_per_cell": 232.34,
  "dft_energy_ry_per_atom": -0.5851
}

No. 4
{
  "formula": "NdLuO3",
  "functional": "PBE",
  "state": "relaxed",
  "lattice_angstrom": [[-2.905, 5.032, 0.000], [2.905, 5.032, 0.000], [0.000, 3.355, -5.057]],
  "species": ["Lu", "Lu", "Nd", "Nd", "O", "O", "O", "O", "O", "O"],
  "fractional_positions": [[0.853, 0.853, 0.442], [0.147, 0.147, 0.558], [0.634, 0.634, 0.099], [0.366, 0.366, 0.901], [0.549, 0.224, 0.259], [0.224, 0.968, 0.259], [0.968, 0.549, 0.259], [0.032, 0.451, 0.741], [0.776, 0.032, 0.741], [0.451, 0.776, 0.741]],
  "spacegroup": "R-3 (148)",
  "vol_a3_per_cell": 147.88,
  "dft_energy_ry_per_atom": -0.6100
}

No. 5
{
  "formula": "Nd2Tm3LuTe2Os",
  "functional": "PBE",
  "state": "relaxed",
  "lattice_angstrom": [[4.081, 0.000, 0.000], [0.000, 7.258, 4.113], [0.000, -7.258, 4.113]],
  "species": ["Lu", "Nd", "Nd", "Os", "Te", "Te", "Tm", "Tm", "Tm"],
  "fractional_positions": [[0.500, 0.379, 0.379], [0.500, 0.599, 0.000], [0.500, 0.000, 0.599], [0.500, 0.025, 0.025], [0.000, 0.658, 0.334], [0.000, 0.334, 0.658], [0.000, 0.995, 0.235], [0.000, 0.773, 0.773], [0.000, 0.235, 0.995]],
  "spacegroup": "Amm2 (38)",
  "vol_a3_per_cell": 243.68,
  "dft_energy_ry_per_atom": -0.4222
}

No. 6
{
  "formula": "NdTm3Lu2Te2Os",
  "functional": "PBE",
  "state": "relaxed",
  "lattice_angstrom": [[-0.817, -0.921, -3.860], [6.784, -4.576, -0.344], [-6.992, -3.570, 2.331]],
  "species": ["Lu", "Lu", "Nd", "Os", "Te", "Te", "Tm", "Tm", "Tm"],
  "fractional_positions": [[0.000, 0.998, 0.378], [0.000, 0.378, 0.998], [0.000, 0.597, 0.597], [0.000, 0.027, 0.027], [0.500, 0.667, 0.326], [0.500, 0.326, 0.667], [0.500, 0.245, 0.245], [0.500, 0.996, 0.765], [0.500, 0.765, 0.996]],
  "spacegroup": "Amm2 (38)",
  "vol_a3_per_cell": 239.07,
  "dft_energy_ry_per_atom": -0.4183
}

No. 7
{
  "formula": "NdLuPa",
  "functional": "PBE",
  "state": "relaxed",
  "lattice_angstrom": [[-4.043, -0.276, 3.181], [-2.288, 4.316, 1.639], [-4.706, 1.227, -1.702]],
  "species": ["Lu", "Nd", "Pa"],
  "fractional_positions": [[0.750, 0.750, 0.750], [0.000, 0.000, 0.000], [0.250, 0.250, 0.250]],